Has Australia Gone Troppo?

The Australian slang word once used to describe how some people go crazy due to the tropical (troppo) climate can now be used to describe the country’s reaction to climate activists. Climate activist, Deanna Coco, who blocked traffic on Sydney Harbour Bridge for a grand total of 25 minutes has been sentenced to 15 months in prison, with a non-parole period of eight months.
Such a disproportional response has been possible because earlier this year, New South Wales, Victoria and Tasmania all introduced tough new laws increasing punishments for non-violent protesters with larger fines and the option of jail time.
This makes Australia look so stupid in the eyes of the world. Why?
The Australian Climate Council recently launch a report titled: THE GREAT DELUGE: AUSTRALIA’S NEW ERA OF UNNATURAL DISASTERS. The report states, “2022 will be remembered as the year of the Great Deluge, when record-breaking rain and floods lashed large parts of Eastern Australia, causing untold devastation for Australians and our economy.” And goes on to say, “This report is a stark warning that this is not over yet, and a call for all levels of government to speed up their emission reductions and disaster preparation efforts. This year has seen large parts of Eastern Australia experience record-breaking rainfall and floods. From Queensland down to Tasmania, extreme weather events have taken people’s lives, led to the evacuation of communities, damaged homes, belongings and businesses, destroyed crops and livestock, and saddled us with billions of dollars in rebuilding costs.”
I live in Victoria and this winter has brought severe and ongoing flooding. This year’s wet weather has resulted in roads from Queensland to Tasmania being cut off for days and in some cases, on flood plains, they can be cut off for weeks. Where I live 75% of the roads have been damaged by rain and floodwater.
-- Here the piece breaks off for materials data --
........
Theoretical powder X-ray diffraction pattern of AgSeS5 for Cu Kα (λ = 1.5418 Å), from a structure optimized by DFT (PBE).
Lines closer than 0.1° are merged.

Main lines, sorted by position (2θ from 10° to 80°):
| two_theta | I/Imax |
| --- | --- |
| 17.28 | 69 |
| 18.43 | 21 |
| 19.61 | 100 |
| 25.33 | 40 |
| 26.84 | 31 |
| 27.16 | 19 |
| 27.79 | 23 |
| 31.48 | 18 |
| 32.86 | 60 |
| 33.36 | 20 |
| 39.59 | 23 |
| 44.15 | 20 |

Structural model:
```
AgSeS5
1.0
6.3418 0.0000 0.0000
-1.1759 7.1191 0.0000
-2.4852 -3.4042 9.6431
Ag Se S
2 2 10
Direct
0.0000 0.0000 0.0000
0.5000 0.5000 0.0000
0.0802 0.2960 0.9118
0.9198 0.7040 0.0882
0.0814 0.1296 0.6940
0.3202 0.5220 0.6322
0.3719 0.0285 0.1539
0.3747 0.2702 0.6788
0.3780 0.7423 0.8249
0.6220 0.2577 0.1751
0.6253 0.7298 0.3212
0.6281 0.9715 0.8461
0.6798 0.4780 0.3678
0.9186 0.8704 0.3060
```

* * * * *

V2GeO8: simulated powder diffractogram (CuKα), based on a GGA+U-relaxed structure.
Peak positions follow from Bragg's law for the DFT cell and can differ from measured ones.

Structural model:
Cell: 5.5389 5.5389 6.3620 Å, 90.00 90.00 120.00°
Space group P-3m1 (No. 164)
Unique sites:
1 V 0.3333 0.6667 0.2400
2 Ge 0.0000 0.0000 0.5000
3 O 0.1594 0.3189 0.3301
4 O 0.3333 0.6667 0.9788

Peak list (12 most intense, 15 to 90 degrees two-theta, in order of falling intensity)
23.2°, intensity 100.0, (1 0 1)
32.3°, intensity 28.4, (1 1 0)
52.5°, intensity 18.2, (2 1 1)
33.8°, intensity 15.7, (1 0 2)
47.5°, intensity 13.7, (2 0 2)
68.0°, intensity 13.4, (1 1 4)
58.0°, intensity 8.5, (2 0 3)
46.8°, intensity 8.0, (0 1 3)
58.6°, intensity 7.5, (2 1 2)
67.7°, intensity 7.4, (2 2 0)
86.3°, intensity 6.4, (0 3 4)
72.6°, intensity 6.0, (1 3 1)
........
-- Back to the piece --
The response of state governments has been to introduce tough new laws increasing punishments for non-violent protesters with larger fines and the option of jail time! The biggest fear for governments is people who have maintained their freedom to act and that these people take action against government policy and when governments move too slow.
So, let’s compare 25 minutes of protest with days, weeks and even months of traffic disruption because of flooding.
Given how troppo Australia has demonstrated itself to be in implementing these new laws against activists, will the next step be locking up a river or creek for impeding ‘business as usual’? After all, in the end it will be the weather that is the most active climate protester of them all and its protest won’t be non-violent either.

For those state politicians who are looking for a precedent to charge our waterways you can always look to the medieval laws that allowed animals to be prosecuted. The so-called ‘medieval animal trials’ were cases in which animals were accused and sentenced for harming persons or property. For instance, a domestic animal (generally pigs, horses, and bulls) could be charged for killing a human and be condemned to death, usually by hanging.
I’m not sure how you will hang a river for blocking a road and holding up business-as-usual, I suppose you could always poison it; oh wait, that’s happening already!
Thankfully there are some sane people left in Australia who are pointing out that the jailing of Deanna Coco would be ridiculous if it wasn’t so tragic. Sophie McNeill, of Human Rights Watch, said it was evidence climate protesters faced vindictive legal action restricting their right to peaceful assembly and expression. Coco’s lawyer, Mark Davis, pointed out that only one of five lanes of southbound traffic was blocked.
Internationally, Australia has come in for justifiable criticism. Clément Voule, the UN’s special rapporteur on freedom of association and peaceful assembly, saying he was “alarmed” by the sentence and the court’s refusal to consider bail for her appeal until March. “Peaceful protesters should never be criminalised or imprisoned,” Voule said.
## Records of crystals, kept here for reference
<<<
For La2Mn2O5, a PBE+U-relaxed structure gives the theoretical X-ray powder pattern in this record (Cu Kα (λ = 1.5418 Å)).
Peak positions follow from Bragg's law for the DFT cell and can differ from measured ones.

Top 12 peaks for 15 to 90 degrees two-theta, in order of rising 2θ:
- 3.986 Å, intensity 412, (1 1 -1)
- 3.551 Å, intensity 169, (3 1 -1)
- 2.880 Å, intensity 607, (0 2 0)
- 2.870 Å, intensity 1000, (3 1 1)
- 2.817 Å, intensity 748, (5 1 -1)
- 2.761 Å, intensity 548, (2 0 -2)
- 2.348 Å, intensity 177, (4 2 0)
- 2.218 Å, intensity 237, (7 1 -1)
- 2.028 Å, intensity 222, (8 0 0)
- 1.993 Å, intensity 458, (2 2 -2)
- 1.660 Å, intensity 375, (3 3 1)
- 1.624 Å, intensity 225, (1 1 3)

Cell and atoms:
Cell lengths 17.0065, 5.7600, 5.5240 Å; angles 90.00, 107.45, 90.00 degrees
Space group Cc (No. 9)
Asymmetric unit:
1 La 0.0000 0.2333 0.0000
2 La 0.2812 0.2341 0.2111
3 Mn 0.1420 0.2992 0.5661
4 Mn 0.3910 0.2498 0.8592
5 O 0.0253 0.1706 0.4773
6 O 0.1423 0.3538 0.1830
7 O 0.2554 0.1698 0.7538
>>>
However, the NSW premier, Dominic Perrottet, welcomed the minimum eight-month jail sentence which he described as “pleasing to see”. Such statements should make the parents and grandparents of children likely to become peaceful activists, to save the planet and their future, very worried. Let’s hope that none of Dominic Perrottet’s seven children become climate and environmental activists in the future because it doesn’t look like they would get any support from their dad if their activities landed them in jail.
Certainly, Australian federal and state governments’ actions in addressing climate change and biodiversity loss have been slower than glacial. Corporate capture of our governments has been entrenched over decades.
But this latest round of government legislation, undermining people’s right to peaceful protest, may lead to something much more difficult. When people can do nothing else all they can do is withhold their labour. Strikes are increasing in countries around the world. More-and-more people are withholding their labour because their government’s policies have triggered survival anxiety, as they have to make a choice between heating their homes or putting food on the table. The same government policies driving social disadvantage are also driving biodiversity loss and climate uncertainly.
If government follows that same path it has taken in jailing those who cause minimal disruption to business-as-usual by peacefully demonstrating their concerns for the planet, will the next step be jail time for the people who block roads because they can’t pay their energy bills?
We are on a slippery slope here; and common sense, empathy and compassion need to prevail.

Lynn Johnson is a physicist by education and has worked as an executive coach and a strategy consultant for over 20 years. In her work she pushes for systemic change, not piecemeal solutions, this includes campaigning for modernising the legal trade in endangered species, to help tackle the illegal wildlife trade.